## Input
Starting from the GGA-PBE geometry in Alexandria, the powder diffraction line list of Tm3UBi4 was computed for Cu Kα, 1.54184 Å.
Intensities are scaled so that the largest is 100.

Peak list (8 most intense, 2θ from 10° to 80°, by angle)
2theta, I/Imax
28.4, 100
40.3, 13
40.6, 52
40.7, 13
50.0, 14
50.4, 14
66.5, 25
74.0, 14

Cell and atoms:
```
Tm3UBi4
1.0
8.9501 0.0000 0.0000
0.0000 12.5688 0.0000
0.0000 0.0000 4.4319
Tm U Bi
6 2 8
Direct
0.0000 0.0000 0.0000
0.2500 0.2500 0.5000
0.2500 0.7500 0.5000
0.5000 0.5000 0.0000
0.7500 0.2500 0.5000
0.7500 0.7500 0.5000
0.0000 0.5000 0.0000
0.5000 0.0000 0.0000
0.0000 0.2488 0.0000
0.0000 0.7512 0.0000
0.2451 0.0000 0.5000
0.2549 0.5000 0.5000
0.5000 0.2512 0.0000
0.5000 0.7488 0.0000
0.7451 0.5000 0.5000
0.7549 0.0000 0.5000
```

***

Starting from the GGA-PBE geometry in Alexandria, the powder diffraction line list of CaBeAs2 was computed for Cu Kα, 1.54184 Å.
Intensities are scaled so that the largest is 100.

Peak list (8 most intense, 2θ from 10° to 80°, by angle)
2theta, I/Imax
25.7, 46
26.4, 33
31.6, 100
33.9, 94
37.2, 87
47.0, 53
48.4, 39
57.8, 32

Cell and atoms:
```
CaBeAs2
1.0
0.0000 10.3881 2.7291
2.7346 0.0000 2.7291
2.7346 10.3881 0.0000
Ca Be As
2 2 4
Direct
0.1138 0.8862 0.1138
0.8862 0.1138 0.8862
0.2502 0.2502 0.2498
0.7502 0.7502 0.7498
0.3154 0.6849 0.3151
0.5072 0.9623 0.4928
0.6849 0.3154 0.6846
0.9623 0.5072 0.0377
```

***

Starting from the GGA-PBE geometry in Alexandria, the powder diffraction line list of Ca2DyTe3 was computed for Cu Kα, 1.54184 Å.
Intensities are scaled so that the largest is 100.

Peak list (8 most intense, 2θ from 10° to 80°, by angle)
2theta, I/Imax
28.4, 100
40.5, 38
40.6, 37
50.3, 20
58.7, 12
66.3, 17
66.6, 17
73.8, 12

Cell and atoms:
```
Ca2DyTe3
1.0
3.8448 -6.6592 0.0000
3.8448 6.6592 0.0000
-2.5581 0.0000 7.2941
Ca Dy Te
4 2 6
Direct
0.0000 0.0000 0.0000
0.1654 0.8346 0.5000
0.5000 0.5000 0.5000
0.8346 0.1654 0.5000
0.3333 0.6667 0.0000
0.6667 0.3333 0.0000
0.0821 0.4190 0.2458
0.2554 0.2554 0.7553
0.4190 0.0821 0.2458
0.5810 0.9179 0.7542
0.7446 0.7446 0.2447
0.9179 0.5810 0.7542
```

***

Starting from the GGA-PBE geometry in Alexandria, the powder diffraction line list of Rb4Ag3HgF12 was computed for Cu Kα, 1.54184 Å.
Intensities are scaled so that the largest is 100.

Peak list (8 most intense, 2θ from 10° to 80°, by angle)
2theta, I/Imax
19.8, 14
28.2, 100
40.3, 37
45.2, 6
49.8, 41
58.2, 23
65.9, 18
73.2, 7

Cell and atoms:
```
Rb4Ag3HgF12
1.0
-4.4812 4.4812 4.4812
4.4812 -4.4812 4.4812
4.4812 4.4812 -4.4812
Rb Ag Hg F
4 3 1 12
Direct
0.0000 0.0000 0.5000
0.0000 0.5000 0.0000
0.5000 0.0000 0.0000
0.5000 0.5000 0.5000
0.0000 0.5000 0.5000
0.5000 0.0000 0.5000
0.5000 0.5000 0.0000
0.0000 0.0000 0.0000
0.0000 0.2531 0.2531
0.0000 0.7469 0.7469
0.2500 0.5000 0.7500
0.2500 0.7500 0.5000
0.2531 0.0000 0.2531
0.2531 0.2531 0.0000
0.5000 0.2500 0.7500
0.5000 0.7500 0.2500
0.7469 0.0000 0.7469
0.7469 0.7469 0.0000
0.7500 0.2500 0.5000
0.7500 0.5000 0.2500
```

* * * * *

This entry pairs a crystal structure of K2Li2PrCl6 with its theoretical X-ray powder pattern. Radiation: CuKα. Structure: a crystal structure in Alexandria, relaxed with PBE.
Peak positions follow from Bragg's law for the DFT cell and can differ from measured ones.

The 12 most intense peaks (2θ = 10–90°), in order of rising 2θ:
two_theta, I (rel.), h k l
12.1, 34, 0 0 1
14.7, 15, 1 0 0
19.1, 100, 1 0 1
25.6, 13, 1 1 0
28.4, 41, 1 1 1
28.5, 16, 1 0 2
32.1, 35, 2 0 1
35.6, 78, 1 1 2
39.9, 19, 1 0 3
41.5, 31, 3 -1 1
45.1, 31, 3 0 0
58.7, 15, 4 -2 2

Crystal structure
```
K2Li2PrCl6
1.0
6.9710 0.0000 0.0000
-3.4855 6.0370 0.0000
0.0000 0.0000 7.3104
K Li Pr Cl
2 2 1 6
Cartesian
0.0000 4.0247 0.0000
3.4855 2.0123 0.0000
0.0000 4.0247 3.6552
3.4855 2.0123 3.6552
0.0000 0.0000 3.6552
-1.2613 2.1846 2.2242
-2.2242 3.8524 5.0861
2.5226 0.0000 2.2242
1.2613 2.1846 5.0861
4.4484 0.0000 5.0861
2.2242 3.8524 2.2242
```

* * * * *

## To do
Could you work out how many lines further up have the word "powder" in them; a number is enough?

## Result
5